Bitcoin was the first protocol to use blockchain technology. This technology introduced a decentralized way of managing systems, where each member (node or nodes) has the same rights as the others and consensus is reached through collective decisions. In other words, no miner on the Bitcoin blockchain can make decisions unilaterally – unless they own more than half of the network’s total computing power, of course.
However, miners decentrally manage the network, verify transactions and add new blocks to the blockchain but don’t participate in managing the development of the protocol. Developers make this decision independently, i.e., separately from the entire community. To address this misunderstanding, other developers came up with a new concept of distributed control or decentralized autonomous organization (DAO). We explain in detail what kind of model is used, how DAOs work, and how they contribute to the development of the blockchain economy.

What’s a DAO, Actually?
Every conventional organization has a hierarchical structure: usually, the structure of companies is divided into the management area, which alone makes all strategic decisions, and other levels, which aren’t involved in the management of the company.
The management board can change the policy of the company at its own discretion, even against the wishes of other employees and especially customers. This is one of the main disadvantages of centralized management, which can harm both customers and the company itself in the long run.
What does a DAO offer? Decentralized Autonomous Organization introduces a fundamentally new leadership model based on a non-hierarchical or peer-to-peer structure, just like blockchain itself.
As the name suggests, the community manages the protocol in a decentralized manner, and the decision is made based on the results of a vote involving all members who have the cryptocurrency of the network in their wallets.
The Decentralized Autonomous Organization, known as The DAO, was the world’s first DAO platform created by Christoph Jentzsch and published on GitHub. The DAO launched in 2016 on the Ethereum blockchain.
The platform attracted a venture capital fund and more than $150 million in public investment via an initial coin offering (ICO) but was hacked later that year due to security issues. Hackers siphoned off about a third of the funds in ETH coins by exploiting a vulnerability in the protocol’s source code.
DAO tokens were taken off the market by major exchanges Poloniex and Kraken. In 2017, the U.S. Securities and Exchange Commission (SEC) published a report on the ICO conducted by The DAO, in which it found violations of parts of the local legislation, as the regulator considers tokens as DAO sold securities, which means that they’re subject to the corresponding regulations.
After the hack, Ethereum developers made the controversial decision to split the network into two blockchains and perform a hard fork to recover the funds of affected users. As a result, a new Ethereum chain emerged while the old one continued to function as Ethereum Classic.
In parallel, the Ethereum community also split: some users preferred to leave the main network unchanged, and it continued to function. Ethereum Classic is the original Ethereum network, and the new chain we know now has actually become a hard fork.
Ethereum developers consider DAOs to be “member-led communities without centralized leadership” and refer to them as “internet-native businesses.”
How Do DAOs Work?
To understand how DAOs work, you need to learn more about the technology behind them. DAO code is executed in a fully decentralized blockchain environment using smart contracts. In the same manner, decentralized applications (DApps) work and non-fungible tokens (NFTs) are issued.
This is the main difference from traditional companies that are run by a centralized leader. Decentralized autonomous organizations are an example of blockchain being used to solve a variety of problems. For example, while DApps provide users with access to decentralized financial services, DAOs provide a decentralized management system for blockchain-based projects.
Members of DAO use special digital assets called governance tokens to vote on changes to the protocol. All operations are performed by smart contracts, which are fully autonomous programs on the blockchain that verify compliance with certain conditions when executing transactions.
Smart contracts are also responsible for automating protocols and ensuring that they operate without intervention from users, including developers.
The rules for operation are predetermined and cannot be changed on the fly, as in human-run businesses. This is another key difference from traditional organizations: voting results are recorded on the blockchain and cannot be falsified in any way, ensuring completely transparent operations.
An example of successful DAOs is MakerDAO. The holders of the governance token Maker (MKR) have decentralized control over the operation of the MakerDAO platform. Incidentally, the world’s first algorithmic stablecoin backed by ETH coins was released on this platform.
To vote for the proposed proposal, participants must deposit governance tokens via a smart contract. This principle is similar to staking. Users who voted for the winning proposal receive additional rewards. After the process is over, the tokens are unlocked and returned to the wallet along with the reward. Therefore, entrepreneurs and token holders who enable DAOs can earn money through voting.
In reality, however, not all DAOs are sufficiently decentralized. Some Decentralized Autonomous Organizations use a system known as voting rights which determines the weight of an individual participant’s vote. Depending on the number of tokens, the voting power is determined: the more tokens a participant has, the stronger his or her vote usually is.
The downside of this approach is that owners of large amounts of cryptocurrencies or crypto values gain an advantage over other voting participants and have a stronger influence on decision-making to change the way protocols work, leading to a partial centralization of control.
Recently, another DAO mechanism has gained popularity where it’s not necessary to deposit governance tokens, and users only pay a network commission for a transaction when they vote for proposals. In such DAOs, token holders have equal voting rights.
Many blockchain platforms based on Cosmos Interblockchain Communications (IBC) technology, such as the Osmosis Zone DEX and the Juno Network, allow voting without tying tokens into a smart contract.
This means that you only need governance tokens to pay a fee when you sign a voting transaction. However, in this case, you won’t receive any rewards either, but voting rights aren’t on, which allows large players to centrally influence decision-making.
Advantages and Disadvantages of DAOs

With DAOs, users are no longer left in the lurch when it comes to important platform decisions. For example, the rules for the operation of the Bitcoin and Ethereum protocols are still changed without the participation of the community, although their opinions and needs are certainly taken into account.
However, DAOs still have their weaknesses, and some issues need to be resolved before a decentralized governance approach can improve the world of cryptocurrencies.

Advantages of DAOs
The following are the pros DAOs offer:
All decisions and internal functions of an organization are usually hidden from prying eyes, and users usually learn about them only after the fact, without a chance to influence decision-making in any way. DAOs instead offer a different model: any member of the community can propose to improve the functionality of the blockchain platform, and if the majority of members support it, the changes are made to the protocol. This makes the management of the protocol transparent.
Smart contracts not only automate the work of the decision-making process in DAOs but also make it autonomous by preventing third-party interference in the voting process. Even if centralized companies implemented a voting system, they’d still be able to manipulate the results to their liking and pretend that the management is decentralized.
Open Source Code
As with most blockchain projects, the code in DAOs is completely open, and any developer can verify that the protocol is truly transparent. Moreover, users can find vulnerabilities in the code and submit reports to fix bugs, which increases the security of DAOs.
Equality of Community Members
Many DAOs developed in recent years give members equal voting rights when it comes to adopting changes to the way the protocol works. The original idea of DAO was to delegate power to token holders, thus removing the central authority of top managers and their ability to steer the company’s resources as well as investors’ funds in the wrong direction, from which the entire community suffers.
Efficient Management and Cost Reduction
DAOs operate without physical offices, and there’s no need to hire an executive or top management to make important decisions about the operation of the system. All of this reduces the cost of doing business, and platform development is designed to meet the needs of a group of users who themselves participate in voting on decisions to improve the project.
In Collective Hands
The platform and all the important decisions that make it work don’t belong to a small group of people usually at the helm. DAOs belong to the entire community of crypto enthusiasts committed to development when the platform meets their needs. A centralized group of managers, on the other hand, may only pursue their selfish interests and ignore the real problems of the company’s customers.
The Opportunity to Make Money
Like miners, stakers, or delegates, DAO voters can make money by putting governance tokens into pooled funds. This is similar to shares for which the company pays dividends to investors, except that in Decentralized Autonomous Organizations, users also participate in the important decisions about the operation of the platform.
Disadvantages of DAOs
Many DAOs Are Still Partially Centralized
The rules of DAOs are initially set by the developers, which affects the initial operation of the protocol. Although these rules can be changed over time through voting, this centralizes the protocols to some degree. In addition, for systems that use voting for balloting, centralization has a greater impact on subsequent protocol changes.
No Security Guarantees
Blockchain operates in a decentralized manner. So do DApps and smart contracts built on top of the main network: If hackers can get into the DAO and withdraw funds, it’ll be extremely difficult to stop and prevent further money movements.
This was demonstrated by the incident with the DAO platform in 2016: to recover investors’ funds, an alternative blockchain network had to be created at that time.
However, given the growth of decentralized ecosystems, this is currently not possible. Not to mention that attackers can exploit this by presenting token holders with an originally fraudulent project.
In addition, a centralized company is responsible to customers for its actions in case of mistakes and can easily be taken to court if it refuses to take responsibility, which isn’t possible with DAOs: even before using the platform, users usually sign a user agreement in which they agree to legal agreements and assume all risks when using the platform.
Increases Development Time
Sometimes developers need to intervene quickly, for example, if there are errors in the protocol or other security issues. This problem can also be solved by voting or partial centralization, which gives developers the right to make some decisions regarding the security of the platform DAO without prior approval.
How Difficult Is It to Create Your DAOs?
These records of molecules were left in the page by mistake
********
This record from OMol25 describes a molecular structure, C20H61N5O8 at a distorted geometry. The level of theory is the ωB97M-V functional and the def2-TZVPD basis.

Last column: Löwdin charge in e.
Cartesian coordinates (Å):
1 O -0.781 3.435 0.635  -0.21
2 O -3.359 -3.609 -0.945  -0.20
3 O 5.241 -1.609 -1.565  -0.17
4 O -3.418 -2.043 1.658  -0.07
5 O -1.800 -0.994 3.398  -0.10
6 O 0.116 0.255 3.982  -0.01
7 O 4.185 2.676 -0.048  -0.11
8 O -1.656 -0.969 1.227  -0.27
9 N -2.832 1.150 2.604  0.06
10 N -0.264 1.117 -0.103  0.12
11 N 4.097 -2.040 0.927  0.04
12 N -4.356 -1.413 -2.499  0.05
13 N 3.138 3.523 -2.476  0.04
14 C -5.057 -2.708 -2.500  -0.44
15 C -0.522 -0.457 1.831  -0.26
16 C -3.467 2.091 0.440  -0.01
17 C 0.386 0.209 0.791  -0.37
18 C 2.808 2.476 -0.256  -0.26
19 C 4.551 1.621 0.924  -0.05
20 C 5.610 -1.355 -2.867  -0.13
21 C -1.291 2.732 1.777  -0.13
22 C -5.774 -2.779 -3.820  -0.08
23 C -2.209 -4.317 -0.620  -0.16
24 C -4.054 -3.856 -2.192  -0.15
25 C 4.121 -0.872 -1.243  -0.22
26 C 2.312 3.557 -1.296  -0.38
27 C 0.490 4.032 0.846  -0.08
28 C 0.963 3.286 -1.981  -0.06
29 C 1.561 0.962 1.356  -0.17
30 C -2.334 1.573 1.365  -0.41
31 C -1.589 -2.057 0.239  -0.03
32 C 2.120 -0.885 0.436  -0.13
33 C 3.297 -1.643 -0.188  -0.36
34 H 0.509 4.510 1.825  0.11
35 H -3.652 -1.498 -3.219  0.07
36 H -1.756 3.373 2.526  0.13
37 H 2.479 0.102 0.727  0.00
38 H 3.979 3.029 -2.213  0.06
39 H 2.689 1.489 -0.703  0.14
40 H -6.286 -3.739 -3.759  0.08
41 H -1.412 -4.406 -1.358  0.11
42 H 1.045 2.272 -2.374  0.08
43 H -5.219 -2.749 -4.758  0.08
44 H 6.468 -1.928 -3.221  0.09
45 H 4.525 -1.289 1.449  0.06
46 H 2.338 0.336 1.794  0.10
47 H 5.566 1.983 1.091  0.10
48 H 2.919 -2.599 -0.549  0.14
49 H -3.471 -3.854 -3.112  0.12
50 H 4.092 1.686 1.910  0.10
51 H 2.769 2.740 -2.996  0.06
52 H -0.522 2.191 2.328  0.09
53 H -4.129 1.271 0.164  0.08
54 H 0.905 -0.169 3.645  0.09
55 H 1.230 1.657 2.128  0.10
56 H -5.826 -2.840 -1.738  0.14
57 H -1.824 0.692 0.975  0.07
58 H 1.314 -0.681 -0.269  0.09
59 H 2.091 1.503 0.572  -0.02
60 H 0.835 4.760 0.111  0.09
61 H -2.646 -1.691 2.102  -0.02
62 H 4.494 0.073 -0.846  0.10
63 H 4.770 -1.695 -3.472  0.09
64 H 0.705 3.956 -2.801  0.09
65 H -0.896 0.124 2.674  0.03
66 H -3.579 0.475 2.524  0.10
67 H -2.146 -1.728 -0.639  0.10
68 H -0.524 1.982 0.350  -0.01
69 H 4.911 -2.287 0.382  0.06
70 H -1.211 0.813 -0.277  0.08
71 H -3.252 2.688 -0.446  0.08
72 H 0.147 3.334 -1.260  0.05
73 H 5.908 -0.340 -3.131  0.09
74 H -3.900 -2.504 2.345  0.07
75 H -2.514 -5.341 -0.402  0.10
76 H -4.666 -4.753 -2.094  0.12
77 H 0.432 1.064 4.385  0.12
78 H -2.263 -2.835 0.599  0.03
79 H -0.580 -2.467 0.215  0.12
80 H -2.098 0.601 3.028  0.01
81 H -2.446 -0.364 3.718  0.07
82 H 1.239 3.240 0.848  0.03
83 H -3.723 -1.431 -1.713  0.03
84 H 2.229 2.608 0.659  0.06
85 H 3.470 -0.677 -2.094  0.13
86 H 4.557 0.556 0.689  0.05
87 H 0.042 -1.239 2.338  0.15
88 H 1.738 -1.484 1.263  0.14
89 H -6.533 -1.998 -3.829  0.08
90 H -1.766 -3.884 0.277  0.05
********
The records of molecules stop here
DAO development, like any blockchain system, is a complex and time-consuming process that requires the involvement of qualified professionals. The choice of the company responsible for developing the Decentralized Autonomous Organization determines the reliability of the protocol.
For example, if vulnerabilities are found, hackers can cause irreparable damage not only to the platform itself but also to the reputation of the company, further affecting its work. You also need to attract users, raise funds, and overcome various legal challenges to make your platform work and grow.
You can commission the development of a DAO platform based on blockchain technology to ICODA, a company that’s been developing and promoting blockchain products for five years. You can take a look at our use cases or leave a request for a free consultation to find out how we can help you with your project.
DAOs are changing the paradigm of how Internet organizations operate. Proponents of Decentralized Autonomous Organizations believe that businesses and their management should belong to the community, not to a small group of individuals who unilaterally make important decisions, often without considering the interests of the customers themselves.
DAO platforms allow users to interact securely over the Internet without having to trust each other, as all transactions are governed by an autonomous smart contract.